How to use StaticPublishQueue

Silverstripe Version: 4.2.1

Question: How to cache a bunch of URLs NOW

I loved the old Modul. It was easy to use and had a great Performance. Now everything sucks. There is’nt even a Queue anymore. How can I just easyly cache some URLs like before?
Why does StaticCacheFullBuildTask takes more than 2GB of Ram? And why is it just one unbreakable Task that makes my Priorities useless?
Is it possible to get saticpublishqueue V3 to work on SS4?

_Inserted here: records of molecules_
- - -
(1)
This record from the Open Molecules 2025 dataset describes the molecule C4H8N4O2. The level of theory is ωB97M-V/def2-TZVPD.

CARTESIAN COORDINATES (ANGSTROEM)
1 C 0.7144 1.8380 -0.2936
2 C -0.1748 0.2075 -1.8958
3 C 0.3498 1.1866 0.9397
4 C -0.8935 -1.4118 -0.0461
5 N 0.4864 1.4038 -1.4832
6 N 0.0001 -0.8848 -0.9510
7 N -0.5688 -2.4800 0.5972
8 N 1.0771 1.5520 1.9935
9 O 0.6649 0.9519 3.1592
10 O 1.9962 2.3180 2.0499
11 H 1.2990 2.6908 0.0157
12 H -1.3426 0.4606 -1.8887
13 H 0.2787 0.1083 -2.8971
14 H -0.4535 0.5367 1.1942
15 H -1.7750 -0.8207 0.1155
16 H 0.7759 -1.3818 -1.1046
17 H 0.9156 1.2688 3.9776
18 H -1.3105 -2.7934 1.2394

Output
- Relative energy (zero: lowest compared OMol25 entry of this formula, charge and spin): 527.17 kJ/mol
- Frontier orbital gap: 8.850 eV
- Charge: 0
- Molecular weight: 144.1 g/mol
- SMILES: [H]/N=C/NC/N=C\C=[N+](/[O-])O

=====

(2)
This record from the Open Molecules 2025 dataset describes the molecule H4N2O2Si. The level of theory is ωB97M-V/def2-TZVPD.

CARTESIAN COORDINATES (ANGSTROEM)
1 N -1.1775 -0.3525 -0.6897
2 N 1.2718 -0.0957 0.1471
3 O 1.7956 -1.1910 0.2485
4 O 1.7153 0.8226 -0.5941
5 Si -0.4240 0.2172 0.7960
6 H -0.5141 -0.8087 -1.3210
7 H -1.4660 0.5036 -1.1696
8 H -0.7879 -0.8928 1.6151
9 H -0.4132 1.7972 0.9678

Output
- Relative energy (zero: lowest compared OMol25 entry of this formula, charge and spin): 70.64 kJ/mol
- Frontier orbital gap: 10.362 eV
- Charge: 0
- Molecular weight: 92.1 g/mol
- SMILES: N[SiH2][N+](=O)[O-]

=====

(3)
This record from the Open Molecules 2025 dataset describes a structure of composition C12H13BN10OPdS. The level of theory is ωB97M-V/def2-TZVPD.

CARTESIAN COORDINATES (ANGSTROEM)
1 Pd -0.6019 -0.2197 0.2907
2 N 1.4796 -2.9294 -2.9199
3 C 1.3497 -1.5975 -2.9144
4 N 1.3714 -1.1479 -1.6839
5 C 1.5039 -2.2890 -0.9555
6 N 1.5681 -3.3982 -1.6641
7 C 1.5852 -2.2950 0.5066
8 C 2.4035 -3.1831 1.1982
9 N 2.5071 -3.1717 2.5182
10 C 1.7958 -2.2547 3.1670
11 C 0.9662 -1.3659 2.5065
12 N 0.8535 -1.3975 1.1793
13 H 1.4207 -3.5643 -3.6970
14 H 1.2304 -1.0142 -3.8119
15 H 2.9836 -3.9139 0.6498
16 H 1.8733 -2.2201 4.2459
17 H 0.3722 -0.6328 3.0348
18 B -1.6342 2.5650 1.3944
19 N -0.1093 2.5774 1.0601
20 C 0.7907 3.5633 1.0989
21 C 2.0176 3.0630 0.6918
22 C 1.7681 1.7262 0.3966
23 N 0.4842 1.4529 0.6310
24 N -2.3481 2.0910 0.0898
25 C -3.2797 2.7044 -0.6456
26 C -3.6052 1.8958 -1.7222
27 C -2.8004 0.7714 -1.5723
28 N -2.0545 0.9070 -0.4760
29 H -1.9884 3.6876 1.6325
30 H -1.8378 1.7758 2.2837
31 H 0.4939 4.5486 1.4149
32 H 2.9495 3.5936 0.6124
33 H 2.4175 0.9592 0.0080
34 H -3.6437 3.6714 -0.3441
35 H -4.3186 2.0927 -2.5021
36 H -2.6990 -0.1076 -2.1873
37 O -1.5668 -2.3436 -2.4670
38 S -2.0019 -2.7194 -1.1158
39 N -1.6962 -1.8812 0.0681

Output
- Relative energy (zero: lowest compared OMol25 entry of this formula, charge and spin): 0.00 kJ/mol
- Frontier orbital gap: 8.370 eV
- Charge: 0
- Molecular weight: 462.6 g/mol

=====

(4)
- - -

$urls = array("/" => 80);
			$urls = array_merge((array)$urls, array("/jsonapi/ticker" => 85));
			$urls = array_merge((array)$urls, array("/jsonapi/ticker/current" => 85));
			$urls = array_merge((array)$urls, array("/jsonapi/ticker/".$this->game->ID => 85));
			$urls = array_merge((array)$urls, array("/jsonapi/game/current" => 80));
			$urls = array_merge((array)$urls, array("/jsonapi/game/".$this->game->ID => 80));
			$urls = array_merge((array)$urls, array("/jsonapi/matchday/".$this->game->competitionID."/".$this->game->dayNumber => 80));
			$urls = array_merge((array)$urls, array("/jsonapi_en/ticker" => 85));
			$urls = array_merge((array)$urls, array("/jsonapi_en/ticker/current" => 85));
			$urls = array_merge((array)$urls, array("/jsonapi_en/ticker/".$this->game->ID => 85));
			$urls = array_merge((array)$urls, array("/jsonapi_en/game/current" => 80));
			$urls = array_merge((array)$urls, array("/jsonapi_en/game/".$this->game->ID => 80));
			$urls = array_merge((array)$urls, array("/jsonapi_en/matchday/".$this->game->competitionID."/".$this->game->dayNumber => 80));
			$urls = array_merge((array)$urls, array("/matchcenter" => 80));
			$urls = array_merge((array)$urls, array("/matchcenter/show/".$this->game->ID => 80));
			$urls = array_merge((array)$urls, array("/matchcenter/callHeader/".$this->game->ID => 90));
			$urls = array_merge((array)$urls, array("/matchcenter/callTicker/".$this->game->ID => 85));
			$urls = array_merge((array)$urls, array("/matchcenter/callGameday/".$this->game->ID => 80));
			$urls = array_merge((array)$urls, array("/matchcenter/callNomination/".$this->game->ID => 80));
			$urls = array_merge((array)$urls, array("/matchcenter/callOpponent/".$this->game->ID => 80));
			$obj = new URLArrayObject();

Rel: staticpublishque there is no queue

What I did now:

$queue = QueuedJobService::singleton();
			$job = Injector::inst()->create(GenerateStaticCacheJob::class);
			$jobData = new \stdClass();
			$jobData->URLsToProcess = $urls;
			$job->setJobData(0, 0, false, $jobData, [
				'Building URLs: ' . var_export(array_keys($jobData->URLsToProcess), true)

Now I’ve a Job. That caches my set of URLs and when it’s done It switches to status “waiting” till I call dev/tasks/ProcessJobQueueTask again it swiches back to “running” but doesen’t do anything anymore. It never gets fishished.

It’s the URLs of my custom Controller that not get cached and leading my job to never complete.
[SOLVED] I Had to call my custom Controller via CLI. Like this:
./vendor/bin/sake /jsonapi/ticker/current flush=all

Now its caching. However in GenerateStaticCacheJob.php if a URL returns [responsecode] => 404 it should lead to status = Broken, but it doesn’t